Animal Advocacy Research Fund: Project Highlights
Without evidence, it can be difficult to determine which advocacy interventions do the most good. The Animal Advocacy Research Fund (AARF) has helped to establish and legitimize a novel domain of research that aims to empirically determine the most effective strategies and messages used in animal advocacy. By funding high-quality projects, the AARF has supported numerous impactful, freely accessible publications and welcomed dozens of new people into the field of animal advocacy research.
Since its inception in 2016, the AARF has provided grants to 46 research projects and financially supported more than 70 researchers at universities, not-for-profit groups, and animal advocacy organizations across the globe.
Recently, we reached out to the community of researchers who ACE has supported through the AARF and asked them how this funding has impacted their research, career paths, and lives.
Testimonials from Recipients of AARF Funding
Developing a Targeted Approach to Animal Advocacy Campaigns1
Chris Hopwood, Wiebke Bleidorn, Ted Schwaba, Sophia Chen
[18,000 USD awarded in 2017]
The purpose of this research was to develop a model of individual and group differences in motives for vegetarianism. The results can be used by animal advocates to tailor their campaigns and maximize the impact of their plant-based outreach.
Testimonial from Chris Hopwood:
We would not have been able to begin, let alone complete, our project without AARF funding. This was a stepping stone to a number of other projects. We have now completed several studies that followed up our initial investigation of motives to be vegetarian. Overall, this grant was instrumental in helping me orient towards this exciting and important area of research.
The results are now published in Plos One, and the measure we developed (the Vegetarian Eating Motives Inventory, VEMI) has been used by a number of different research teams. We developed a measure of the three primary reasons people give for being vegetarian – health, the environment, and animal rights. We also showed that different kinds of people are more likely to be persuaded by different motives. We hope that this promotes research, but in the realm of advocacy that it can be helpful in tailoring messages so they will be maximally effective.
We did several projects subsequent to this work, including a study examining the links between antisocial personality features and beliefs about animals (e.g., speciesism) published in Personality Disorders: Theory, Research, and Treatment; a study showing that both meat eaters and vegetarians can be measured in terms of vegetarian motives published in Collabra: Psychology, the development of a measure of meat eating motives published (Meat Eating Motives Inventory, MEMI) in Appetite, the development of a measure of perceptions others have of vegans that is currently in preparation, and a study of longitudinal correlates of meat eating that is also in preparation. Along with Kristof Dhont and Jared Piazza, I have also initiated the Society for the Psychology of Human Animal Intergroup Relations (PHAIR), through which we have hosted a successful speaker series and hope to carry out additional endeavors in the future.
Messages to Overcome Naturalness Concerns in Clean Meat Acceptance
Jo Anderson, Chris Bryant, Kathryn Asher, Che Green, Kris Gasteratos, Bruce Friedrich, Jeff Rotman, Jamie Macfarlane
[30,000 USD grant awarded in 2017]
The purpose of this research was to test different messages that address concerns about the unnaturalness of cell-cultured (or “clean”) meat.
A Survey of Consumer Perceptions of Plant-Based and Clean Meat in the USA, India, and China
Chris Bryant, Keri Szjeda, Nishant Parekh, Varun Deshpande, Brian Tse
[30,000 USD grant awarded in 2018]
The purpose of this research was to compare the appeal of plant-based and cell-cultured meat in China, India, and the USA, as well as identifying predictors of their acceptance in each country.
Identify Various Predictors of Changes in Animal Product Consumption
Chris Bryant
[8,000 USD grant awarded in 2020; project in progress]
The purpose of this project was to identify various predictors of changes in animal product consumption using a longitudinal design and to develop and validate a Vegetarian Inclination Scale.
Testimonial from Chris Bryant:
I have now received three AARF grants – two have resulted in journal publications which made up key chapters of my PhD. My PhD funding had some limited funds for data collection (about $1,000/year) but AARF helped fund data collection in large, nationally representative samples, making my research more generalisable and useful to alternative protein producers.
As a dedicated funder of effective animal advocacy research, the existence of AARF has given me the confidence that I will have funding which is closely aligned with my research interests, and can develop ventures along those lines. Since finishing my PhD in 2020, I have been involved in a number of animal advocacy research projects, and have established a company, Bryant Research Ltd, to continue this work. One of my major projects is funded by AARF.
Data records, as found in the file >
-- begin --
82
Properties=species:S:1:pos:R:3:forces:R:3 method="wB97M-V/def2-TZVPD" orbital_gap_ev="5.58 / 5.95" total_charge=0 e_tot_ha=-1939.98943 e_homo_ev="-5.04 / -8.50" multiplicity=5 fmax_ev_per_a=2.44 s2=6.02 lumo_energy_ev="0.54 / -2.55"
C -1.356257 -0.917049 1.233132 -1.2745 0.1159 0.7366
C -1.513888 0.518619 1.052822 -1.2320 -0.3608 0.4087
C -2.556254 0.720648 0.097606 -0.8063 -0.7655 0.9969
H -0.945294 1.295401 1.531933 0.0826 -0.1709 -0.0016
C -3.034448 -0.564868 -0.317485 -1.3412 0.4188 0.9268
C -2.314572 -1.588904 0.382718 -0.7067 0.1476 1.1241
H -2.440378 -2.667200 0.269227 -0.0579 0.4931 0.1161
H -0.657192 -1.385344 1.899692 0.0404 0.0369 -0.0485
H -2.922279 1.670240 -0.244870 -0.0382 0.1247 -0.1126
H -3.888878 -0.708290 -0.940517 -0.1636 -0.1545 -0.4553
C 0.480707 0.354355 -2.484443 0.8809 -0.4908 -1.0032
C 1.334216 -0.249572 -1.517922 1.4528 0.1042 -0.2241
C 0.923211 -1.621680 -1.327751 1.2062 -0.2496 -1.5221
H 2.132284 0.245311 -0.955795 -0.5651 -0.3133 -0.3807
C -0.106610 -1.896873 -2.301784 0.9743 -0.6781 -0.5025
C -0.375466 -0.671687 -2.994616 0.4653 0.0815 -1.1456
H -1.008364 -0.579824 -3.854265 -0.3786 0.0921 -0.0294
H 0.474038 1.400438 -2.801548 0.1100 -0.5063 0.1564
H 1.356475 -2.326216 -0.630221 -0.0504 0.2455 -0.1878
H -0.559767 -2.863393 -2.490565 0.0425 0.2485 -0.0360
Ir -0.832042 -0.517700 -0.810094 1.3504 1.6829 1.1449
O -3.890497 0.645105 -3.542001 -1.6568 0.8412 -0.1618
C -4.458422 1.955420 -3.303880 -0.8364 -1.2964 -0.4072
C -5.347634 0.825394 -3.781694 1.5696 0.8153 0.8895
H -4.547766 2.228438 -2.246627 0.2202 0.0505 -0.3830
H -4.227212 2.748165 -4.031004 0.1166 -0.4311 0.3889
H -6.002889 0.374074 -3.019500 0.4516 0.0510 -0.4105
H -7.892542 0.462379 -4.637526 0.1721 -0.0331 -0.3250
C -7.199197 0.596591 -5.472953 0.9025 0.1543 0.0057
C -5.817979 0.777406 -5.185694 -0.4418 0.1906 -1.2455
C -4.927172 1.008642 -6.262611 -0.4148 -0.1558 0.0159
H -3.858552 1.186535 -6.072082 -0.5875 -0.2004 0.0068
C -5.398874 1.009948 -7.585388 -0.4798 -0.0039 0.0983
H -4.696729 1.170072 -8.415725 -0.3426 -0.0720 0.4599
C -6.771219 0.827065 -7.862654 0.2296 -0.0141 0.5064
H -7.139768 0.845679 -8.902238 0.2532 -0.0208 0.6891
C -7.667520 0.630211 -6.792169 0.3951 0.0878 -0.2048
H -8.738596 0.511852 -6.993031 0.4733 0.0179 0.1025
C 4.438815 -2.451779 -0.223434 0.1400 0.0641 -0.4075
C 3.866292 -2.336954 1.188680 0.0444 0.4802 0.1959
C 2.802614 -3.419113 1.421088 -0.1335 0.0139 -0.0849
C 4.986396 -2.450349 2.219888 0.1732 0.0550 0.3397
O 3.308201 -1.015741 1.305426 0.0613 -0.5442 -0.4620
Si 2.359784 0.144548 1.939888 2.0071 -0.3104 0.4755
O 1.127521 0.527289 1.043454 -1.8976 0.2090 -1.0342
O 2.006047 -0.172875 3.480002 -0.5886 -0.3071 1.0815
C 1.457898 -0.838877 4.636927 0.3408 0.1803 -0.0898
C 0.046963 -1.367592 4.431188 -0.4300 -0.1696 -0.1323
C 2.372037 -2.010814 4.978314 0.2481 -0.2005 -0.0118
C 1.435130 0.179502 5.777283 0.1095 0.3908 0.2408
O 3.305404 1.527384 1.859584 -1.1585 -0.1737 -0.1346
-- stop --
My two completed AARF projects have been published in Meat Science and in Frontiers in Sustainable Food Systems, and now have over 100 citations between them! In particular, our AARF-funded survey on cultured and plant-based meat seems to have had a large impact on animal product alternatives in Asia. The study, which showed that consumers in China and India are even more open to these products than those in the USA, was covered in the Guardian, and is in the top 1% of viewed articles on Frontiers with over 50,000 views. In the years since, we have seen a surge in interest in animal product alternatives in Asia, especially China.
Inserted here: quantum chemistry results >
ORCA calculation (ωB97M-V with the def2-TZVPD basis set) on a cluster of 18 separate species, C92H226Cl8N14 in total in a non-equilibrium geometry.

Geometry as XYZ:
```
340
Properties=species:S:1:pos:R:3:forces:R:3
C 1.119 -0.549 -4.407 -0.05 1.56 -1.24
C 2.223 -1.210 -3.644 0.37 -0.60 2.16
N 2.566 -2.587 -3.977 0.45 -0.68 0.23
C 1.627 -3.697 -3.647 1.55 0.96 2.17
C 1.173 -3.706 -2.153 1.33 -1.42 -0.56
C 2.976 -2.800 -5.335 1.13 -1.29 -0.72
C 4.127 -1.901 -5.872 0.67 -0.30 -0.04
H 1.052 0.538 -4.217 0.32 -0.28 0.32
H 0.143 -0.900 -4.154 -0.71 -0.68 0.03
H 1.252 -0.556 -5.507 -0.04 -0.44 0.47
H 3.151 -0.600 -3.640 -0.48 -0.39 -0.29
H 1.945 -1.277 -2.550 0.17 0.45 -0.98
H 0.770 -3.591 -4.269 -1.05 -0.36 -0.69
H 2.155 -4.680 -3.819 -0.57 1.08 -0.16
H 0.304 -4.328 -2.148 -0.55 -0.91 0.31
H 1.928 -4.093 -1.404 -0.65 0.30 -1.09
H 0.802 -2.808 -1.762 -0.32 1.75 0.26
H 2.081 -2.858 -5.979 0.20 0.50 -0.47
H 3.333 -3.877 -5.340 -0.03 1.18 -0.23
H 3.897 -0.851 -6.012 -0.50 0.34 0.53
H 4.434 -2.139 -6.923 -0.18 -0.53 1.01
H 5.034 -1.941 -5.184 -1.14 -0.13 -0.90
C -0.021 8.550 -1.028 0.01 0.84 1.29
C 0.950 7.961 -2.008 1.61 -0.67 0.43
N 1.736 8.959 -2.739 -1.20 -0.08 -0.98
C 3.043 8.559 -3.166 0.78 -0.34 0.02
C 3.990 8.539 -1.999 0.94 -1.45 0.26
C 0.961 9.568 -3.830 1.71 0.31 0.59
C 1.342 11.016 -4.029 0.32 0.30 0.16
H -0.951 8.999 -1.375 0.00 -0.16 -0.55
H 0.443 9.334 -0.391 0.04 -0.44 -0.51
H -0.282 7.760 -0.339 -0.40 -0.27 0.22
H 1.700 7.400 -1.400 -0.54 0.31 -0.25
H 0.453 7.154 -2.585 0.36 0.60 -0.36
H 3.110 7.534 -3.631 -0.37 0.70 0.07
H 3.426 9.268 -3.912 -0.28 -0.15 0.03
H 4.937 8.085 -2.342 -0.05 0.50 0.19
H 4.164 9.465 -1.454 -0.16 0.13 -0.32
H 3.623 7.789 -1.294 0.05 0.23 0.29
H -0.015 9.515 -3.468 -2.03 -0.09 -0.04
H 1.089 9.077 -4.804 -0.23 -0.38 0.21
H 2.406 11.023 -4.351 -0.77 0.47 -0.13
H 1.287 11.598 -3.075 -0.18 -0.44 -0.83
H 0.642 11.398 -4.801 0.76 0.31 0.37
C -3.266 -2.639 6.203 -1.28 -0.11 -1.30
C -1.881 -3.125 6.631 -0.23 1.16 0.35
N -1.858 -4.538 6.825 0.02 -0.12 -0.01
C -0.818 -5.125 7.677 -0.27 -0.40 -1.63
C -1.448 -6.007 8.707 -0.06 1.68 1.80
C -2.187 -5.307 5.632 2.31 -0.82 1.39
C -1.277 -5.159 4.448 1.27 0.00 -0.47
H -3.438 -2.621 5.072 0.41 -0.17 1.34
H -3.585 -1.634 6.545 0.61 -0.46 0.01
H -3.997 -3.360 6.612 0.14 0.39 -0.13
H -1.140 -2.725 5.925 0.21 -0.10 0.03
H -1.683 -2.670 7.602 0.23 0.09 0.06
H -0.173 -5.679 6.997 0.48 -0.35 0.15
H -0.179 -4.408 8.147 0.15 0.87 0.22
H -2.217 -5.376 9.179 -0.14 -0.32 -0.21
H -1.921 -6.866 8.310 -0.25 -1.02 -0.25
H -0.778 -6.180 9.560 0.12 -0.67 -0.47
H -3.173 -5.109 5.433 -2.45 0.35 -0.92
H -2.091 -6.341 5.933 -0.44 -0.50 0.13
H -1.195 -4.122 4.109 0.08 -0.14 -0.09
H -1.566 -5.789 3.609 -0.48 0.10 -0.14
H -0.262 -5.560 4.675 -0.44 0.61 0.10
C 7.892 2.954 3.803 1.08 1.01 0.21
C 8.629 3.288 2.503 -0.43 1.07 0.70
N 7.704 3.316 1.376 -0.44 -1.15 0.65
C 7.261 1.908 1.156 1.46 1.04 -0.85
C 6.307 1.779 -0.025 0.27 -1.42 0.01
C 8.244 3.944 0.193 -1.72 -1.31 -1.40
I am working on a number of projects with animal advocacy non-profits and alternative protein companies through my company, Bryant Research Ltd. My current AARF-funded project is very exciting indeed. We will track a large UK sample over a year to observe how many people change their diets, the stages they go through, and the prerequisites for dietary change. This kind of longitudinal analysis will give us a unique perspective on how change happens over time.
Evidence from a Randomized Controlled Trial Using Individual-Level Food Purchase Data
Andrew Jalil, Joshua Tasoff, Arturo Bustamante
[18,382 USD grant awarded in 2018]
The purpose of this study was to examine the effects of an awareness-raising intervention on meat consumption using individual-level food purchase data. A randomized controlled trial of nearly 50,000 university students saw significant change in purchasing habits of students in the intervention group.
Testimonial from Andrew Jalil:
ACE funding helped my co-authors and me to conduct our study, recently published in the journal Food Policy. Our study shows, using individual-level food purchase data, that in response to an educational intervention on the consequences of meat consumption for climate change and public health, college students reduce their meat consumption in favor of plant-based alternatives. The effects were strongly significant and lasted months after the intervention. Our study provides evidence that educational interventions, in a supportive setting with readily available plant-based alternatives, can reduce meat consumption.
Antecedents of Alternative Protein Adoption
Keri Szejda & Courtney Dillard
[18,340 USD grant awarded in 2019]
This focus group study aimed to collect information from consumers in three locations across the United States regarding their perceptions of and experiences with novel protein sources.
Testimonial from Keri Szejda:
AARF has given me the opportunity to collaborate with researchers and organizations to further the global consumer research agenda on plant-based and cultivated meat. In our cross-country study, our team included researchers from the US, UK, China, and India. In our focus group study on antecedents to adoption, our team was able to obtain insights from 3 US cities. Results have been shared in peer-reviewed publications and webinars with plant-based and cultivated meat companies. These experiences researching for GFI helped me to start my own business a year ago (North Mountain Consulting Group), where I’ve been blessed to continue this line of research while conducting targeted research for nonprofits and startups. Recently, AARF funding has helped me collaborate with two nonprofit organizations with missions to help animals: Credence Institute and Material Innovation Initiative. Thank you, AARF, for the invaluable boost to my career conducting research to help animals, people, and our planet.
Testimonial from Courtney Dillard:
My co-investigator, Keri Szejda, and I were so grateful to receive a grant from ACE. We used the AARF funds to run nationwide focus groups to better understand consumer interests and intentions regarding both plant-based and cultivated meat alternatives. We shared our findings in a report and I hosted a movement wide webinar. Two of the most useful findings were consumer concerns regarding food safety and traditional meat and the role that advocates play in introducing alternative meat products to new consumers through their social networks. Specifically, we note that the majority of participants first tried meat alternatives in social settings like potlucks and family gatherings where barriers (cost, access, familiarity) were low and key facilitators like a trusted source were high.
South African Consumer Perceptions of Alternative Protein: A Segmentation Study
Ludwig Raal, Angelique Lazarus, Andrea Marais, Louise Polders, Keri Szejda, Clair Tapscott, Jayson van der Walt
[11,000 USD grant awarded in 2020; project in progress]
The purpose of this project was to provide insights into consumer acceptance of cell-cultured and plant-based meat in South Africa.
Testimonial from Ludwig Raal:
Given the negative impact of intensive animal agriculture on the environment, public health, and the lives of animals, promoting alternative meat options — i.e., cultivated and plant-based meat — may be one of our best available strategies to mitigate future suffering. While numerous studies have been carried out in the US and across multiple Asian and European countries on consumer acceptance of alternative meats, the African continent has remained underexplored. ACE gave us the opportunity to address that.
The grant allowed us to enlist the services of experienced researcher Keri Szejda from North Mountain Consulting, with whose help we conducted a survey gauging consumer acceptance of alternative meats in South Africa — with promising results! According to our findings, 53% of South Africans are very or extremely likely to purchase cultivated meat once it has become widely available, suggesting that South Africa may be a fertile ground for anyone operating in the meat-alternative space.
Vegan Advocacy and Communication in India: Proposal for an Exploratory Study
Nirupama Sarma, Sanjeev Kumar, and Anjali Gopalan
[32,000 USD grant awarded in 2020; project in progress]
The purpose of this research was to identify the key drivers and barriers determining dietary choices in India to facilitate the strategic design and implementation of advocacy campaigns to promote veganism in the region.
Testimonial from Nirupama Sarma:
AARF was instrumental in helping us embark on our ambitious project, which is a seminal study in India. There are few donors who support studies of this kind, especially in the domain of animal rights/studies – so I would say AARF has been pivotal in this respect, a game-changer.
AARF funding has helped me work in a domain that’s relatively under-resourced compared to other non-profit sectors. Importantly, it has given me a unique opportunity to apply my prior experience and skills in the non-profit world to the issue of animal rights, which has been my area of concern for a long time. It actually makes it possible to do the work so very necessary to advance the cause.
The project is currently underway, and yes, I believe it will contribute to changing how India engages in advocacy/campaigning for veganism.
I am working on this AARF-funded study – “Vegan Advocacy in India: An Exploratory Study,” and editing my feature-length documentary on animal rights in India, scheduled for release by the end of 2021.
We at ACE are incredibly proud of the 22 completed AARF-funded research projects that have contributed to a greater understanding of effective animal advocacy. We are excited about the progress made and potential of the 24 projects that remain under the stewardship of the talented researchers funded through the AARF. Despite the challenges experienced over the past year as a result of the COVID pandemic, we have been consistently impressed by the creativity, commitment, and tenacity of the research community. Despite global setbacks, 8 projects were completed and published in 2020 alone.
The AARF provides a unique funding opportunity for academics who are also passionate advocates, and we know that the need for further research funding remains high. While many of our funded researchers have published peer-reviewed articles about animal advocacy, these individuals have also spoken at conferences and public symposia around the world, written op-eds for international media outlets, and participated at Congress briefings—because they are now recognized as experts in the field of animal advocacy.
We thank all of our AARF-funded researchers for their time, effort, and attention toward building the field of effective animal advocacy. We remain both excited and optimistic about what is still to come. If you’d like to stay updated, please subscribe to our monthly newsletter.
Attached: molecular data:
=====
No. 1
118
Properties=species:S:1:pos:R:3:lowdin_charge:R:1 method="wB97M-V/def2-TZVPD" molar_mass_g_mol=855.9 energy_ha=-4668.8778 gap_ev=4.65 spin_multiplicity=1 total_charge=0
C 5.267 -0.047 4.989 -0.121
C 4.533 1.090 4.096 -0.240
C 5.100 1.079 2.598 -0.215
C 4.128 1.740 1.518 -0.223
C 3.518 0.569 0.614 -0.255
Si 1.591 0.682 0.391 0.352
C 1.240 -0.305 -1.243 -0.267
C 2.101 -1.686 -1.269 -0.219
C 3.347 -1.492 -2.285 -0.283
N 4.550 -2.259 -1.859 -0.030
O 1.165 2.354 0.280 -0.350
Si -0.425 2.642 -0.323 0.449
C -0.766 4.525 -0.015 -0.228
C 0.286 5.447 -0.784 -0.221
C 1.737 5.463 -0.145 -0.190
F 1.590 5.498 1.280 -0.104
C -1.820 1.703 0.585 -0.283
C -3.236 2.467 0.587 -0.249
C -4.384 1.347 0.477 -0.194
C -5.568 1.546 1.548 -0.188
N -6.797 0.904 0.956 0.011
C -6.831 -0.511 1.265 -0.465
C -8.174 -1.086 1.922 -0.016
O -5.927 -1.322 1.034 0.035
C -0.641 2.367 -2.204 -0.613
Cl -2.334 1.892 -2.756 0.599
C 0.326 2.511 -3.203 -0.678
C -0.094 2.217 -4.705 -0.141
Cl 2.008 3.027 -2.768 0.657
P 0.572 -0.440 1.995 0.854
C 0.648 0.418 3.677 -0.453
C 0.864 1.996 3.627 -0.164
C 1.218 -2.205 2.174 -0.445
C 2.655 -2.347 2.853 -0.160
H 6.103 -0.567 4.429 0.069
H 4.495 -0.852 5.222 0.057
H 5.602 0.364 5.993 0.068
H 4.693 2.069 4.639 0.108
H 3.450 0.775 4.034 0.060
H 5.342 -0.015 2.371 0.099
H 6.116 1.603 2.650 0.112
H 3.367 2.459 1.940 0.087
H 4.799 2.360 0.830 0.108
H 3.814 -0.475 0.926 0.044
H 3.929 0.705 -0.450 0.075
H 1.691 0.332 -2.075 0.039
H 0.137 -0.472 -1.421 0.074
H 2.566 -1.910 -0.266 0.058
H 1.390 -2.477 -1.651 0.107
H 3.680 -0.399 -2.327 0.097
H 3.018 -1.739 -3.350 0.118
H 4.854 -1.874 -0.962 0.051
H 4.367 -3.263 -1.802 0.064
H -1.817 4.741 -0.384 0.078
H -0.764 4.669 1.108 0.088
H 0.252 5.151 -1.877 0.085
H -0.106 6.520 -0.718 0.112
H 2.376 4.567 -0.386 0.080
H 2.236 6.435 -0.482 0.123
H -1.907 0.638 0.178 0.069
H -1.544 1.566 1.687 0.064
H -3.384 3.035 1.558 0.108
H -3.379 3.171 -0.284 0.072
H -3.969 0.304 0.674 0.101
H -4.754 1.353 -0.593 0.106
H -5.708 2.657 1.714 0.119
H -5.248 1.019 2.503 0.129
H -7.591 1.395 1.390 0.106
H -8.655 -0.246 2.508 0.072
H -8.821 -1.451 1.057 0.091
H -7.864 -1.968 2.552 0.085
H -1.014 2.794 -5.033 0.062
H 0.724 2.418 -5.457 0.076
H -0.342 1.105 -4.785 0.088
H 1.391 -0.096 4.375 0.061
H -0.374 0.252 4.166 0.071
H 0.392 2.414 4.584 0.081
H 0.342 2.518 2.773 0.048
H 1.963 2.290 3.699 0.056
H 0.484 -2.739 2.872 0.077
H 1.144 -2.763 1.187 0.064
H 2.676 -3.382 3.345 0.078
H 2.828 -1.610 3.698 0.041
H 3.524 -2.346 2.124 0.060
C -1.803 3.570 -10.252 -0.138
O -2.247 3.873 -8.937 -0.327
P -3.571 2.974 -8.316 0.727
O -3.074 1.639 -8.858 -0.258
O -4.602 3.688 -9.372 -0.270
C -4.742 5.106 -9.301 -0.118
O -4.908 2.245 -7.522 -0.237
C -4.589 1.607 -6.286 -0.141
H -1.248 4.434 -10.623 0.090
H -1.133 2.710 -10.229 0.084
H -2.640 3.378 -10.925 0.088
H -4.248 5.554 -10.166 0.088
H -4.297 5.514 -8.390 0.081
H -5.801 5.358 -9.324 0.088
H -4.152 2.330 -5.594 0.064
H -3.892 0.782 -6.449 0.082
H -5.508 1.213 -5.852 0.090
=====
Filed Under: Movement Grants, Research Tagged With: movement building

About Samantha Berscht
Samantha joined ACE in late 2017 after many years of volunteering with animal-focused organizations. She is passionate about advancing animal welfare through policy change and implementation as well as through the development of cultured and plant-based meat. She recently fulfilled her lifelong dream of meeting Jane Goodall.